Local network config on macOS
# February 28, 2025

Since Sequoia (15.0), versions of macOS have shipped with a "Local Network" privacy setting that governs access to devices on your local network. It's a good idea but it could use a redesign.
When a third party app requests access to any device that shares your local network (ie. a private IP address provided by your router instead of a public IP address), it checks your Local Network permissions. If this app has never requested access to your local network before, it will pop up a dialogue asking you to approve it. So far so reasonable.
• Calculated crystals, as found in the file:
┌──
Here is BeCdAs2 after structural relaxation from Alexandria. Energies are from PBE.

Properties
Density: 5.9 g/cm3
DOS(E_F): 0.44 states/eV per atom
Uncorrected energy: -3.23 eV per atom

Cell: 3.1236 3.1236 8.2082 Å, 90.00 90.00 107.48°
Closest atoms and distances in Å follow each position.
Positions (direct):
Cd 0.5000 0.5000 0.7500  4 Cd 3.12, 4 As 3.27
Be 0.5000 0.5000 0.2500  4 As 2.32
As 0.0000 0.0000 0.0792  2 Be 2.32
As 0.0000 0.0000 0.4208  2 Be 2.32

Here is KSe2I2 after structural relaxation from Alexandria. Energies are from PBE.

Properties
Formation energy from raw total energies: -0.334 eV per atom
Density: 3.9 g/cm3
DOS(E_F): 0.88 states/eV per atom
Uncorrected energy: -2.57 eV per atom
└──
• End of the calculated crystals:
Because this alert pops up any time the networking APIs are accessed, it sometimes happens right on first launch or when you're not intuitively expecting it to. And in those cases, no, I don't want to allow blanket permission for some software to access my local network. That's a security feature that's working as intended.
From that point forward, you can't access any local devices from that app's command line or browser. And no matter how long ago you gave that initial deny, the network connection is still blacklisted.
In theory, applications can detect that they've been blocked and show a helpful error message. If TCP requests are being made through NWConnection
, the connection will enter a waiting state when access is denied. localNetworkDenied
indicates that the system has denied local network access.1 Bonjour has a similar callback.
In reality, most applications don't implement this handler or are using different networking APIs that don't have access to the same state. User-facing errors end up being incredibly cryptic about what's going on.
In third party Terminals like Warp or Ghostty2:
$ ssh pierce@
ssh: connect to host port 22: No route to host
Or in Chrome:

These errors themselves aren't Apple's fault. Developers could implement a fallback that checks the Local Network permissions for blocks. But until they do, user experience is hurt for the worse by this new privacy setting.
Instead, I'd suggest Apple redesign these privacy settings to consider applications that don't enumerate this full universe of permission errors:
- Pop up a Control Center notification when network access is blocked. These notifications are non-blocking and give the additional context of what's being blocked. They should also be infrequent: they can be capped at once per app launch.
- Expand the
framework to let apps check their system permissions on bootup without having to make a proactive request toNWConnection
Sometimes platforms can throw too much weight on the shoulders of developers. If all third party apps immediately adopted the new callbacks, this would be a non-issue. But for software that's older or just doesn't consider the changes, it's a worse experience for users. That's on the platform to fix, not just the ecosystem.